» Thu Aug 11, 2011 6:12 pm
My first character...
Name: Kvothe
Race: Probably Breton, possibly Nord
Style: Balance between stealth, magic, and combat
********
1.
This record from Materials Project describes an optimized crystal structure of La10Mn9O30. The functional is PBE with a Hubbard U.

- total magnetic moment (μB/f.u.) = 33.0
- relative energy among the computed polymorphs (eV/f.u.) = 0.10
- corrected total energy (MP2020 scheme) (eV per atom) = -8.70
- DFT formation energy (eV per atom) = -2.98
- V (Å³/atom) = 12.5

The structure in POSCAR format:
```
La10Mn9O30
1.0
-9.453 0.627 5.657
-2.984 -15.456 22.726
-5.909 -3.389 16.854
La Mn O
20 18 60
Cartesian
-1.968 -3.103 7.529
-2.643 -6.229 12.179
-3.098 -9.393 16.708
-6.640 -2.937 10.539
-13.107 -11.745 27.002
-7.161 -5.944 14.774
-13.851 -14.906 31.702
-15.105 -8.898 28.512
-7.894 -9.129 19.449
-9.288 -3.049 16.602
-15.781 -12.024 33.162
-8.461 -12.079 24.089
-9.855 -5.998 21.242
-8.905 -15.204 28.618
-10.588 -9.183 25.918
-4.642 -3.383 13.690
-11.109 -12.191 30.153
-14.650 -5.735 23.983
-11.827 -15.380 34.799
-6.882 -15.678 31.715
-12.430 -14.831 28.390
-6.499 -6.523 21.372
-1.193 -6.182 9.090
-10.652 -3.065 19.645
-11.249 -8.605 19.319
-12.689 -2.591 16.351
-11.268 -6.190 24.228
-8.302 -15.753 35.027
-13.284 -5.710 20.919
-4.465 -9.417 19.773
-6.481 -8.937 16.464
-7.989 -2.887 13.543
-5.060 -12.537 24.341
-7.096 -12.062 21.046
-8.585 -6.010 18.043
-9.163 -9.118 22.648
-9.760 -12.241 27.148
-10.366 -15.292 31.709
-3.845 -1.789 6.868
-4.391 -3.370 9.039
-4.241 -4.636 11.417
-6.030 -1.090 8.259
-4.801 -6.479 13.658
-4.882 -7.921 16.009
-6.741 -4.133 12.879
-8.429 -1.461 9.657
-5.216 -4.997 15.878
-5.493 -9.612 18.125
-6.918 -2.744 15.223
-9.031 -3.091 11.802
-5.505 -10.977 20.581
-7.206 -7.339 17.409
-9.020 -4.472 14.260
-10.726 -1.005 11.096
-5.888 -8.096 20.387
-7.514 -4.493 17.338
-6.190 -12.719 22.647
-7.533 -5.858 19.779
-9.656 -6.188 16.367
-6.052 -14.052 25.096
-7.798 -10.469 22.025
-9.627 -7.571 18.756
-11.351 -3.952 15.702
-6.398 -11.175 24.989
-8.122 -7.557 21.935
-9.951 -4.658 18.666
-6.835 -15.690 27.081
-8.093 -8.939 24.325
-10.216 -9.269 20.912
-11.559 -2.409 18.044
-8.389 -13.488 26.518
-10.235 -10.634 23.354
-11.860 -7.031 20.304
-7.023 -14.122 29.595
-8.729 -10.655 26.432
-10.543 -7.789 23.283
-12.244 -4.151 20.111
-8.718 -12.036 28.889
-10.831 -12.384 25.469
-12.256 -5.516 22.567
-10.777 -13.779 27.891
-12.533 -10.131 24.813
-7.596 -17.387 34.150
-9.320 -13.666 31.034
-11.007 -10.994 27.812
-12.866 -7.206 24.682
-9.296 -15.160 33.386
-11.436 -15.424 30.031
-12.948 -8.648 27.033
-13.136 -13.197 29.268
-9.955 -16.805 35.526
-11.718 -14.037 32.432
-13.508 -10.491 29.275
-13.357 -11.757 31.652
-12.343 -17.095 36.899
-13.903 -13.339 33.824
-13.898 -14.894 36.336
-14.681 -16.532 38.321
```

***

2.
This record from Materials Project describes an optimized crystal structure of Na2Cr3O9. The functional is PBE with a Hubbard U.

- total magnetic moment (μB/f.u.) = 2.0
- corrected total energy (MP2020 scheme) (eV per atom) = -7.30
- DFT formation energy (eV per atom) = -1.86
- V (Å³/atom) = 13.3

The structure in POSCAR format:
```
********
# End of the records of crystals
Primary skills: One-handed, Light Armor, Destruction, Sneak, Pickpocketing, Enchanting, and not quite sure about my seventh primary (I know there aren't major/minor skills but I'm still trying to pick seven "primary" skills because it seems like as good a number as any). It'll could be either Illusion, Lockpicking, Smithing, or Restoration. If Speech is more useful than in past games, it will be my de facto 7th primary.
Other info: Based on the main character of Patrick Rothfuss's Kingkiller Chronicle. I chose my primary skills based on Kvothe's personality, talents, and life experience. For those who haven't read the series -- AND I HIGHLY RECOMMEND IT -- he's a young man studying science and magic at "the University." He studies artifacing, runes, simple magic binding, and the powerful magic of "true names." I figure Enchanting mostly covers the first two subjects, and Destruction mostly covers the other two. Kvothe also goes off and trains to become a master swordfighter with the Adem mercenaries, and eventually earns the title "King Killer" (presumably for killing a king, though thus far in the series no such thing has happened). So I'll use One-handed and Light Armor because those mostly reflect the fighting style of the Ademre. As a child, Kvothe's family were leaders of a travelling group of elite performers (I'd give my character musical skills if that were possible). But Kvothe's troupe was attacked and slaughtered, leaving Kvothe the only survivor. He went to live on the streets of Tarbean, a major city, where he learned that stealth and pickpocketing are useful tools for survival, thus my focus on these skills. Overall, he's a really well-rounded figure, and very appealing as a playable character. He'll use a longsword almost throughout the game, with either a shield, a dagger, or a spell in his other hand. I may do some duel daggers or duel spells in certain circumstances though.
And my second character...
Name: Taeron
Race: Altmer
Style: Mostly combat-oriented, but supplemented by a strong arsenal of spells
[These records of crystals were left in the entry by mistake]
(1)
Entry from the Materials Project: a relaxed Zn4CdS5 crystal (PBE).

abc: 3.6622 3.6622 45.0863
angles: 90.00 90.00 120.00
Space group R-3m (No. 166, hexagonal axes)
Asymmetric unit:
Zn 0.0000 0.0000 0.0972
Zn 0.0000 0.0000 0.3008
Cd 0.0000 0.0000 0.5000
S 0.0000 0.0000 0.0000
S 0.0000 0.0000 0.2044
S 0.0000 0.0000 0.3982

Results
- energy above the lowest structure with this stoichiometry (meV/atom) = 273.8
- total moment (μB/f.u.) = 0.00

(2)
Entry from the Materials Project: a relaxed SrNb2Bi2O9 crystal (PBE).

abc: 25.405 5.648 5.688
angles: 90.00 90.00 90.00
Space group Cmc2_1 (No. 36)
Asymmetric unit:
Sr 0.000 0.248 0.000
Nb 0.083 0.251 0.492
Bi 0.200 0.214 0.082
O 0.000 0.306 0.451
O 0.065 0.024 0.733
O 0.086 0.471 0.186
O 0.155 0.169 0.454
O 0.249 0.478 0.291

Results
- total moment (μB/f.u.) = 0.00
- raw total energy (eV/cell) = -422.20

(3)
Entry from the Materials Project: a relaxed PtN2Cl6 crystal (PBE).

abc: 9.624 9.624 9.624
angles: 90.00 90.00 90.00
Space group Fm-3m (No. 225)
Asymmetric unit:
Pt 0.000 0.000 0.000
N 0.250 0.250 0.250
Cl 0.000 0.000 0.241

Results
- total moment (μB/f.u.) = 4.01
- raw total energy (eV/cell) = -96.81

(4)
Entry from the Materials Project: a relaxed TeO2 crystal (PBE).

abc: 5.599 5.748 12.285
angles: 90.00 90.00 90.00
Space group Pbca (No. 61)
Asymmetric unit:
Te 0.030 0.121 0.116
O 0.144 0.162 0.970
O 0.223 0.087 0.668

Results
- raw total energy (eV/cell) = -129.19

----------

*i*
Material: DyMn2O4
Method: DFT, PBE with a Hubbard U
State: relaxed

a b c (Å): 6.4848 6.4848 6.2817
angles (deg): 118.59 118.59 57.39
Closest atoms and distances in Å follow each position.
Fractional positions:
Dy: 0.1255 0.1255 0.3880  4 O 2.16-2.17
Dy: 0.8745 0.8745 0.6120  4 O 2.16-2.17
Mn: 0.0000 0.5000 0.0000  6 O 2.09-2.31
Mn: 0.5000 0.0000 0.0000  6 O 2.09-2.31
Mn: 0.5000 0.5000 0.0000  6 O 2.21-2.23
Mn: 0.5000 0.5000 0.5000  4 O 1.98
O: 0.2489 0.2489 0.2204  2 Mn 2.09, 1 Dy 2.17
O: 0.2669 0.2669 0.7962  3 Mn 2.09-2.23, 1 Dy 2.16
O: 0.2700 0.7128 0.2654  2 Mn 1.98-2.21, 1 Dy 2.16
O: 0.2872 0.7300 0.7346  2 Mn 1.98-2.21, 1 Dy 2.16
O: 0.7128 0.2700 0.2654  2 Mn 1.98-2.21, 1 Dy 2.16
O: 0.7300 0.2872 0.7346  2 Mn 1.98-2.21, 1 Dy 2.16
O: 0.7331 0.7331 0.2038  3 Mn 2.09-2.23, 1 Dy 2.16
O: 0.7511 0.7511 0.7796  2 Mn 2.09, 1 Dy 2.17

---

*ii*
Material: DyMn2O4
Method: DFT, PBE with a Hubbard U
State: relaxed

a b c (Å): 8.6269 8.6269 8.6269
angles (deg): 24.10 24.10 24.10
Closest atoms and distances in Å follow each position.
Fractional positions:
Dy: 0.0000 0.0000 0.0000  6 O 2.31
Mn: 0.2137 0.2137 0.2137  5 O 1.99-2.10
Mn: 0.7863 0.7863 0.7863  5 O 1.99-2.10
O: 0.1302 0.1302 0.1302  4 Mn 2.10
O: 0.2929 0.2929 0.2929  1 Mn 1.99
O: 0.7071 0.7071 0.7071  1 Mn 1.99
O: 0.8698 0.8698 0.8698  4 Mn 2.10

---

*iii*
Material: DyMn2O4
Method: DFT, PBE with a Hubbard U
State: relaxed

a b c (Å): 6.3969 6.3969 6.3969
angles (deg): 60.00 60.00 60.00
Closest atoms and distances in Å follow each position.
Fractional positions:
[Here the entry continues]
Primary Skills: One-handed, Heavy Armor, Illusion, Destruction, Alchemy, Smithing, and Alteration
Other info: This was my favorite character in Oblivion. He naturally has a great amount of magical potential, but by giving him combat-intense primary skills and playing style, he becomes a strong warrior in his own right. I'll probably do a lot of spell/sword duel wielding with this guy.
Inserted here: materials data >
........
No. 1
Crystalline K8V2S6O27 at its relaxed geometry, computed with GGA+U.

abc: 13.7706 14.1435 14.2635
angles: 90.00 90.39 90.00
With the nearest neighbours (Å) after each atom.
Fractional coordinates of all 172 atoms:
1 K 0.0309 0.0000 0.4860  5 O 2.76-2.99
2 K 0.0371 0.5234 0.0209  6 O 2.76-3.06
3 K 0.1385 0.9063 0.7474  3 O 2.58-2.85
4 K 0.1485 0.5853 0.7554  4 O 2.59-2.86
5 K 0.1607 0.1053 0.2008  7 O 2.68-2.94
6 K 0.1764 0.8190 0.0499  7 O 2.66-2.88
7 K 0.1779 0.3977 0.3027  4 O 2.69-2.98
8 K 0.1887 0.6991 0.4584  8 O 2.73-3.03
9 K 0.3121 0.1763 0.4493  5 O 2.63-2.88
10 K 0.3240 0.3198 0.0579  7 O 2.72-2.94
11 K 0.3367 0.8951 0.2950  7 O 2.73-3.05
12 K 0.3402 0.6179 0.2084  6 O 2.72-3.05
13 K 0.3447 0.1141 0.7266  5 O 2.71-2.92
14 K 0.3610 0.4038 0.7842  4 O 2.63-2.85
15 K 0.4484 0.4716 0.5101  3 O 2.63-2.90
16 K 0.4555 0.0416 0.9847  7 O 2.72-3.03
17 K 0.5445 0.5416 0.0153  7 O 2.72-3.03
18 K 0.5516 0.9716 0.4899  3 O 2.63-2.90
19 K 0.6390 0.9038 0.2158  4 O 2.63-2.85
20 K 0.6553 0.6141 0.2734  5 O 2.71-2.92
21 K 0.6598 0.1179 0.7916  6 O 2.72-3.05
22 K 0.6633 0.3951 0.7050  7 O 2.73-3.05
23 K 0.6760 0.8198 0.9421  7 O 2.72-2.94
24 K 0.6879 0.6763 0.5507  5 O 2.63-2.88
25 K 0.8113 0.1991 0.5416  8 O 2.73-3.03
26 K 0.8221 0.8977 0.6973  4 O 2.69-2.98
27 K 0.8236 0.3190 0.9501  7 O 2.66-2.88
28 K 0.8393 0.6053 0.7992  7 O 2.68-2.94
29 K 0.8515 0.0853 0.2446  4 O 2.59-2.86
30 K 0.8615 0.4063 0.2526  3 O 2.58-2.85
31 K 0.9629 0.0234 0.9791  6 O 2.76-3.06
32 K 0.9691 0.5000 0.5140  5 O 2.76-2.99
33 V 0.0879 0.2420 0.6241  2 O 1.63-1.81
34 V 0.0945 0.2562 0.8677  1 O 1.62
35 V 0.3952 0.7452 0.8692  2 O 1.62-1.81
36 V 0.4041 0.7466 0.6232  1 O 1.63
37 V 0.5959 0.2466 0.3768  1 O 1.63
38 V 0.6048 0.2452 0.1308  2 O 1.62-1.81
39 V 0.9055 0.7562 0.1323  1 O 1.62
40 V 0.9121 0.7420 0.3759  2 O 1.63-1.81
41 S 0.0137 0.2490 0.4041  4 O 1.47-1.55
42 S 0.0230 0.2652 0.0898  4 O 1.47-1.55
43 S 0.0518 0.8957 0.2516  4 O 1.47-1.54
44 S 0.0588 0.6065 0.2545  4 O 1.47-1.54
45 S 0.2115 0.4254 0.5493  4 O 1.47-1.56
46 S 0.2143 0.0743 0.9507  4 O 1.47-1.56
47 S 0.2748 0.9265 0.5331  4 O 1.47-1.56
48 S 0.2768 0.5702 0.9697  4 O 1.47-1.56
49 S 0.4488 0.1085 0.2633  4 O 1.47-1.54
50 S 0.4698 0.7818 0.0852  4 O 1.47-1.56
51 S 0.4728 0.4100 0.2368  4 O 1.47-1.54
52 S 0.4786 0.7342 0.4117  4 O 1.47-1.57
53 S 0.5214 0.2342 0.5883  4 O 1.47-1.57
54 S 0.5272 0.9100 0.7632  4 O 1.47-1.54
55 S 0.5302 0.2818 0.9148  4 O 1.47-1.56
56 S 0.5512 0.6085 0.7367  4 O 1.47-1.54
57 S 0.7232 0.0702 0.0303  4 O 1.47-1.56
58 S 0.7252 0.4265 0.4669  4 O 1.47-1.56
59 S 0.7857 0.5743 0.0493  4 O 1.47-1.56
60 S 0.7885 0.9254 0.4507  4 O 1.47-1.56
61 S 0.9412 0.1065 0.7455  4 O 1.47-1.54
62 S 0.9482 0.3957 0.7484  4 O 1.47-1.54
63 S 0.9770 0.7652 0.9102  4 O 1.47-1.55
64 S 0.9863 0.7490 0.5959  4 O 1.47-1.55
65 O 0.0039 0.2308 0.5108  1 S 1.55
66 O 0.0063 0.6723 0.8720  1 S 1.48
67 O 0.0079 0.1272 0.6615  1 S 1.54
68 O 0.0103 0.3523 0.3880  1 S 1.48
69 O 0.0112 0.3700 0.8346  1 S 1.54
........
The article goes on >
Haven't done any detailed planning for my other characters, but I'll probably do 8-10 total at least. My third character will most likely be a Dunmer, and my fourth an Argonian. After that, maybe a Redguard.